
With an opening on the Supreme Court looming, a major consultant past administrations once used to help vet nominees is back at the table -- after it was barred from the process the last two times under George W. Bush.

The American Bar Association, which Bush brushed aside amid criticism that it had moved too far to the left, announced it had been welcomed back into the fold shortly after President Obama's inauguration.

There are still questions, though, about the group's objectivity. And as Obama begins to narrow the field of potential nominees to replace Justice David Souter, conservatives are sure to watch closely the signals from the ABA.

"The Standing Committee does not consider a potential nominee's ideological or political philosophy," the group said in a statement after Obama's inauguration.

But a new study suggests that's not true.

The findings compiled by three Georgia universities show that from 1985 to 2008 the most liberal nominees to the federal appellate bench had a 62.3 percent chance of getting a "well-qualified" rating from the ABA, while conservative nominees had only a 35.5 percent change of earning the same rating.

Molecular data from another source follow
- - -
[1]
2 unconnected molecules or ions with the total composition C3H3N3O2 in a non-equilibrium geometry. Source: OMol25; level of theory: ωB97M-V with the def2-TZVPD basis set.

Properties
- E_LUMO (eV) = -1.102
- highest occupied orbital energy (eV) = -10.09
- charge = 0
- orbital gap (hartree) = 0.33023
- energy relative to the best compared isomer or geometry (same formula, charge and spin) (kJ/mol) = 381.8
- M (g/mol) = 113.076
- F_max (Eh/bohr) = 0.14106

Element x y z (Å)
C: 0.97 -0.05 0.16
C: -1.33 -0.79 0.09
C: -1.29 0.68 0.03
H: 2.92 0.50 -0.21
H: 0.66 -2.02 -0.39
H: 0.14 2.21 0.33
N: 2.17 -0.26 -0.38
N: 0.06 -1.09 0.44
N: 0.10 1.05 0.25
O: -2.21 -1.65 -0.14
O: -2.19 1.42 -0.19

Electronic structure analysis, Mulliken charges in units of e: atom 1 (C): 0.3897, atom 2 (C): 0.4928, atom 3 (C): 0.3345, atom 4 (H): 0.2547, atom 5 (H): 0.3974, atom 6 (H): 0.3520, atom 7 (N): -0.6331, atom 8 (N): -0.3946, atom 9 (N): -0.1861, atom 10 (O): -0.5113, atom 11 (O): -0.4960

[2]
4 unconnected molecules or ions with the total composition H8O4 in a non-equilibrium geometry. Source: OMol25; level of theory: ωB97M-V with the def2-TZVPD basis set.

Properties
- E_LUMO (eV) = 0.110
- highest occupied orbital energy (eV) = -11.09
- charge = 0
- orbital gap (hartree) = 0.41165
- energy relative to the best compared isomer or geometry (same formula, charge and spin) (kJ/mol) = 189.1
- M (g/mol) = 72.060
- F_max (Eh/bohr) = 0.06105

Element x y z (Å)
O: -0.97 -1.08 0.17
H: -1.04 -0.15 0.38
H: -0.13 -1.33 -0.33
O: -0.15 0.55 2.67
H: -0.50 1.23 2.04
H: -0.42 -0.32 2.40
O: 1.66 -1.19 1.04
H: 1.90 -0.27 0.68
H: 1.39 -1.55 0.20
O: -0.85 1.25 -2.82
H: -0.11 1.97 -2.73
H: -0.79 0.87 -3.70

Electronic structure analysis, Mulliken charges in units of e: atom 1 (O): -0.5725, atom 2 (H): 0.2678, atom 3 (H): 0.2511, atom 4 (O): -0.6291, atom 5 (H): 0.2908, atom 6 (H): 0.3650, atom 7 (O): -0.5924, atom 8 (H): 0.3391, atom 9 (H): 0.2740, atom 10 (O): -0.6402, atom 11 (H): 0.3301, atom 12 (H): 0.3162

[3]
A molecular structure, C31H41BN5O2SScSe. Source: OMol25; level of theory: ωB97M-V with the def2-TZVPD basis set.

Properties
- E_LUMO (eV) = 4.464
- highest occupied orbital energy (eV) = -1.69
- charge = -2
- orbital gap (hartree) = 0.22628
- energy relative to the best compared isomer or geometry (same formula, charge and spin) (kJ/mol) = 0.0
- M (g/mol) = 682.497
- F_max (Eh/bohr) = 0.01112

Element x y z (Å)
Sc: -0.36 -0.05 0.39
C: -1.59 0.00 2.69
C: -0.23 -0.02 3.06
C: 0.35 1.20 2.58
C: -0.70 1.93 1.96
C: -1.90 1.20 2.03
C: -3.32 1.71 1.82
C: -3.38 2.91 0.88
C: -3.83 2.16 3.20
C: -4.25 0.61 1.31
C: 1.69 1.89 2.86
C: 1.79 2.17 4.38
C: 2.93 1.12 2.38
C: 1.75 3.26 2.18
C: 0.24 -1.13 4.01
C: -0.23 -0.75 5.43
C: 1.74 -1.42 4.06
C: -0.44 -2.46 3.66
H: -2.29 -0.79 2.88
H: -0.60 2.88 1.47
H: -2.74 3.72 1.23
H: -4.40 3.29 0.83
H: -3.06 2.64 -0.12
H: -3.17 2.94 3.61
H: -3.84 1.32 3.90
H: -4.85 2.57 3.13
H: -3.96 0.29 0.31
H: -5.28 0.98 1.26
H: -4.23 -0.27 1.95
H: 1.88 1.26 4.96
- - -

"We were fairly surprised that we actually found such robust findings of this bias against conservative nominees," said Amy Steigerwalt, one of the lead researchers, with Georgia State University.

For many conservatives the study was merely proof of what they had long believed.

"I think now that the ABA has been unmasked as just another liberal special interest group, conservative senators ought not to take their word for anything more than that," said the Heritage Foundation's Todd Gaziano.

"I think we've had some notable examples in the past where they have really played politics ... especially with Supreme Court nominees," said Sen. Orrin Hatch, R-Utah.

But ABA supporters say they're excited to see the organization returning to its former role, and claim the study out of Georgia proves only one thing -- that Republicans nominate less qualified candidates to federal judgeships.

"It's surprising that even some of these Bush nominees got the kind of passing marks that they did given that their qualifications were so scanty and weak frankly," said Nan Aaron, president of the Alliance for Justice.

The clearest example of how much an ABA vetting process can affect a potential nominee came in 1987 during Judge Robert Bork's failed nomination to the high court. The ABA committee was deeply divided, with four members rating him "not qualified."

That was deemed a very significant factor by then Senate Judiciary Committee Chairman Joe Biden -- who as vice president is heading up the White House search this time around, sources say.

FOX News' Shannon Bream contributed to this report.